Next, give back only the last part of the lines underneath, starting with the line that has "0.8097".

~~~
1.
Starting from a structure optimized by DFT (GGA-PBE), the X-ray powder pattern of Pu4IrPd was calculated for Cu Kα X-rays.
No peak broadening, texture or thermal motion is included.

Atomic structure:
Cell: 4.7050 5.1962 5.3380 Å, 80.95 70.23 78.00°
Fractional positions:
Pu 0.0000 0.0000 0.0000
Pu 0.0660 0.5524 0.5852
Pu 0.3196 0.0296 0.3114
Pu 0.3933 0.5770 0.8769
Ir 0.6546 0.0835 0.6538
Pd 0.7382 0.4873 0.2415

Principal peaks in the range 5 to 70 degrees two-theta, most intense first:
2θ 35.1, I = 1000; 2θ 36.9, I = 888; 2θ 35.5, I = 854; 2θ 35.3, I = 567; 2θ 36.3, I = 449; 2θ 39.6, I = 397; 2θ 39.5, I = 317; 2θ 47.1, I = 268; 2θ 47.5, I = 216; 2θ 45.4, I = 214

2.
Starting from a structure optimized by DFT (GGA-PBE), the X-ray powder pattern of ZrVCl was calculated for Cu Kα X-rays.
No peak broadening, texture or thermal motion is included.

Atomic structure:
Cell: 4.7404 4.7419 11.3667 Å, 90.00 101.87 90.00°
Fractional positions:
Zr 0.1068 0.0000 0.2165
Zr 0.3932 0.5000 0.7835
Zr 0.6068 0.5000 0.2165
Zr 0.8932 0.0000 0.7835
V 0.2454 0.2493 0.9906
V 0.2546 0.7493 0.0094
V 0.7454 0.7493 0.9906
V 0.7546 0.2493 0.0094
Cl 0.1705 0.5002 0.3456
Cl 0.3295 0.0002 0.6544
Cl 0.6705 0.0002 0.3456
Cl 0.8295 0.5002 0.6544

Principal peaks in the range 5 to 70 degrees two-theta, most intense first:
2θ 7.9, I = 1000; 2θ 33.5, I = 717; 2θ 41.4, I = 653; 2θ 26.9, I = 303; 2θ 45.5, I = 205; 2θ 15.9, I = 200; 2θ 54.8, I = 198; 2θ 45.6, I = 176; 2θ 65.7, I = 137; 2θ 40.5, I = 123

3.
Starting from a structure optimized by DFT (GGA-PBE), the X-ray powder pattern of PaCdPN was calculated for Cu Kα X-rays.
No peak broadening, texture or thermal motion is included.

Atomic structure:
Cell: 11.8297 11.8297 11.8297 Å, 19.05 19.05 19.05°
Fractional positions:
Pa 0.1251 0.1251 0.1251
Pa 0.8749 0.8749 0.8749
Cd 0.3015 0.3015 0.3015
Cd 0.6985 0.6985 0.6985
P 0.4090 0.4090 0.4090
P 0.5910 0.5910 0.5910
N 0.1903 0.1903 0.1903
N 0.8097 0.8097 0.8097

Principal peaks in the range 5 to 70 degrees two-theta, most intense first:
2θ 31.9, I = 1000; 2θ 29.3, I = 964; 2θ 28.2, I = 907; 2θ 46.4, I = 761; 2θ 7.6, I = 629; 2θ 56.7, I = 481; 2θ 38.9, I = 440; 2θ 30.8, I = 440; 2θ 49.8, I = 290; 2θ 52.2, I = 266

4.
Starting from a structure optimized by DFT (GGA-PBE), the X-ray powder pattern of Pr6Te3P2Br was calculated for Cu Kα X-rays.
No peak broadening, texture or thermal motion is included.

Atomic structure:
Cell: 9.8525 9.8525 8.9309 Å, 103.45 103.45 25.32°
Fractional positions:
Pr 0.0175 0.0175 0.2599
Pr 0.3247 0.3247 0.4361
Pr 0.3270 0.3270 0.8775
Pr 0.6730 0.6730 0.1225
Pr 0.6753 0.6753 0.5639
Pr 0.9825 0.9825 0.7401
Te 0.1592 0.1592 0.8359
Te 0.5000 0.5000 0.5000
Te 0.8408 0.8408 0.1641
P 0.1699 0.1699 0.3376
P 0.8301 0.8301 0.6624
Br 0.5000 0.5000 0.0000

Principal peaks in the range 5 to 70 degrees two-theta, most intense first:
2θ 28.7, I = 1000; 2θ 41.0, I = 225; 2θ 41.2, I = 222; 2θ 41.8, I = 131; 2θ 51.5, I = 123; 2θ 40.4, I = 120; 2θ 59.6, I = 75; 2θ 31.5, I = 69; 2θ 68.5, I = 59; 2θ 25.1, I = 53

5.
Starting from a structure optimized by DFT (GGA-PBE), the X-ray powder pattern of Mg16MnAl12 was calculated for Cu Kα X-rays.
No peak broadening, texture or thermal motion is included.

Atomic structure:
Cell: 9.0510 9.0510 9.0327 Å, 109.41 109.41 109.38°
Fractional positions:
Mg 0.0000 0.0000 0.0000
Mg 0.0049 0.3968 0.6899
Mg 0.0164 0.0164 0.6560
Mg 0.2827 0.5979 0.6032
Mg 0.3156 0.7143 0.3192
Mg 0.3435 0.3435 0.3507
Mg 0.3968 0.0049 0.6899
Mg 0.4001 0.6715 0.9944
Mg 0.5979 0.2827 0.6032
Mg 0.6020 0.6020 0.2921
Mg 0.6536 0.9982 0.0040
Mg 0.6715 0.4001 0.9944
Mg 0.6825 0.9977 0.4001
Mg 0.7143 0.3156 0.3192
Mg 0.9982 0.6536 0.0040
Mg 0.9977 0.6825 0.4001
Mn 0.3155 0.3155 0.6936
Al 0.0070 0.1890 0.3781
Al 0.1820 0.8148 0.8194
Al 0.1861 0.3657 0.0028
Al 0.1890 0.0070 0.3781
Al 0.3647 0.9955 0.1872
Al 0.3657 0.1861 0.0028
Al 0.6199 0.6199 0.8136
Al 0.6362 0.8215 0.6395
Al 0.8148 0.1820 0.8194
Al 0.8154 0.8154 0.1811
Al 0.8215 0.6362 0.6395
~~~

N 0.8097 0.8097 0.8097

Principal peaks in the range 5 to 70 degrees two-theta, most intense first:
2θ 31.9, I = 1000; 2θ 29.3, I = 964; 2θ 28.2, I = 907; 2θ 46.4, I = 761; 2θ 7.6, I = 629; 2θ 56.7, I = 481; 2θ 38.9, I = 440; 2θ 30.8, I = 440; 2θ 49.8, I = 290; 2θ 52.2, I = 266

4.
Starting from a structure optimized by DFT (GGA-PBE), the X-ray powder pattern of Pr6Te3P2Br was calculated for Cu Kα X-rays.
No peak broadening, texture or thermal motion is included.

Atomic structure:
Cell: 9.8525 9.8525 8.9309 Å, 103.45 103.45 25.32°
Fractional positions:
Pr 0.0175 0.0175 0.2599
Pr 0.3247 0.3247 0.4361
Pr 0.3270 0.3270 0.8775
Pr 0.6730 0.6730 0.1225
Pr 0.6753 0.6753 0.5639
Pr 0.9825 0.9825 0.7401
Te 0.1592 0.1592 0.8359
Te 0.5000 0.5000 0.5000
Te 0.8408 0.8408 0.1641
P 0.1699 0.1699 0.3376
P 0.8301 0.8301 0.6624
Br 0.5000 0.5000 0.0000

Principal peaks in the range 5 to 70 degrees two-theta, most intense first:
2θ 28.7, I = 1000; 2θ 41.0, I = 225; 2θ 41.2, I = 222; 2θ 41.8, I = 131; 2θ 51.5, I = 123; 2θ 40.4, I = 120; 2θ 59.6, I = 75; 2θ 31.5, I = 69; 2θ 68.5, I = 59; 2θ 25.1, I = 53

5.
Starting from a structure optimized by DFT (GGA-PBE), the X-ray powder pattern of Mg16MnAl12 was calculated for Cu Kα X-rays.
No peak broadening, texture or thermal motion is included.

Atomic structure:
Cell: 9.0510 9.0510 9.0327 Å, 109.41 109.41 109.38°
Fractional positions:
Mg 0.0000 0.0000 0.0000
Mg 0.0049 0.3968 0.6899
Mg 0.0164 0.0164 0.6560
Mg 0.2827 0.5979 0.6032
Mg 0.3156 0.7143 0.3192
Mg 0.3435 0.3435 0.3507
Mg 0.3968 0.0049 0.6899
Mg 0.4001 0.6715 0.9944
Mg 0.5979 0.2827 0.6032
Mg 0.6020 0.6020 0.2921
Mg 0.6536 0.9982 0.0040
Mg 0.6715 0.4001 0.9944
Mg 0.6825 0.9977 0.4001
Mg 0.7143 0.3156 0.3192
Mg 0.9982 0.6536 0.0040
Mg 0.9977 0.6825 0.4001
Mn 0.3155 0.3155 0.6936
Al 0.0070 0.1890 0.3781
Al 0.1820 0.8148 0.8194
Al 0.1861 0.3657 0.0028
Al 0.1890 0.0070 0.3781
Al 0.3647 0.9955 0.1872
Al 0.3657 0.1861 0.0028
Al 0.6199 0.6199 0.8136
Al 0.6362 0.8215 0.6395
Al 0.8148 0.1820 0.8194
Al 0.8154 0.8154 0.1811
Al 0.8215 0.6362 0.6395